Thursday, December 12, 2019

A competitive foraging/gathering game

Here’s an interesting-looking game that occurred to me recently; let me know if you have seen an analysis of it or something similar. Suppose that two or more competing agents can move around in an environment in which there are a number of valuable items, and agents want to gather more items than their opponents. (One thinks of the arena in the vicinity of the Cornucopia in The Hunger Games, although a better story may be a collection of robots who can each obtain credit for performing tasks that have arisen in various locations.) How hard is it to figure out what each agent should do, and how many items she can collect? The analysis looks challenging. What follows is a few observations. A and B denote players.

It looks like a player faces an NP-hard problem, since one can present player A with a Travelling Salesman Problem of collecting n items in his vicinity before player B (initially located some distance away) has time to reach the area and collect some of these items.

One question that is not about computational difficulty is: can such a game ever have a standoff in which players stop moving, and one or more items remains uncollected? The answer seems to be yes, subject to certain modelling assumptions.

Suppose that the items are located at the vertices of a graph, and players may traverse the edges. If the graph is allowed to be directed, a standoff is easy to construct, see diagram below. All edges take 1 time unit to traverse. Suppose both players A and B start at the central vertex, and there are items of equal value 1 on each of the other vertices. If player A moves towards the top vertex, player B will move towards the bottom left vertex just downstream (according to the edge direction), and will be able to collect 2 out of the 3 items, exploiting the directedness of the edges. Hence it looks like both players will be reluctant to leave the central vertex. (Especially if we assume that the aim is to get more items than the opponent, as opposed to maximising the number of items collected.)

Can we do something similar for undirected graphs? The following example is inspired by a secure protocol for bilateral trade of physical goods, which I used once or twice as a young child. The parties to the transaction place the items on the ground a few metres apart, and walk towards each other, passing at the halfway point. Assuming they want the exchange to go ahead, they continue towards their preferred item, noting that neither trader can grab both items, subject to the reasonable assumption that neither can run 3 times as fast as the other.

The figure below shows an undirected graph where player A is very close to an item worth  1.5 (we can assume he grabs it immediately) while player B is distance 1 from the remaining two items of value 1. Player A is distance 1.5 from each of these 2 remaining items.

Assuming that the aim of the game is to get the lion’s share of the items, A needs one more item, and B needs both remaining items. If A moves towards the top item, then B can move towards that same item, get there first and then go back for the bottom item. If players can move freely (and reverse directions) on edges, B can stop A from getting both, by staying slightly closer to whichever item A is closest to. However, if B goes ahead and collects (say) the top item, then A can go for the bottom one, as soon as B is close to the top one. Result: an impasse, especially if you assume that such an impasse means the game is tied and the overall prize is split.

Notice that you do not get this deadlock if players can move freely in the plane: in that version, A can move directly towards B, and if B approaches (say) the top item then A should approach the bottom one. So A wins with no impasse. It would be interesting to know whether an impasse can result in this setting of free movement in the plane.

Tuesday, June 04, 2019

plans for WINE conferences

Update on the annual Conference on Web and Internet Economics (I am on the steering committee).

WINE 2019 (the 15th) will be at Columbia University, December 10-12. We could not avoid the clash with NeurIPS, due to Columbia’s exam schedule. Submission deadline is July 15th.

The plan is for WINE 2020 to take place at Peking University, following the tradition to rotate between Europe, USA, and Asia.

WINE 2021 is under discussion; one idea it to hold it in Addis Ababa, Ethiopia, which is not as novel as it may seem at first sight, it would be following ICLR 2020 (see this link (noting the visa issues) and others). The rationale is that Africa has a burgeoning AI community including people who are interested in algorithmic game theory, and for them, Ethiopia is an easy destination (administratively, in particular). WINE 2018 (at Oxford, UK) had (I think) 5 African participants, and about 10 more would have liked to come but were denied visas. These participants brought home to me the point that there is this developing AI community in Africa. At WINE 2018, Eric Sodomka (from Facebook) gave a well-received presentation on the idea of holding a future WINE in Africa. Are there other places in Africa we should be thinking of? I welcome feedback and comments!

Thursday, May 30, 2019

Augar review

This note considers the Augar review from the perspective of a prospective student, as opposed to a typical university (Wonkhe does not fill me with enthusiasm on that aspect).

Moneysavingexpert gives a fairly helpful list of the main points; see the bold-face subtitles. It goes wrong in one place with “Student loans should be renamed a ‘student contribution system’ … Student loans are a misnomer. So it’s with relief that the Augar report notes our call to change the name…” However, when an expense incurs interest and an obligation on an individual to repay it, there’s no getting away from the fact that it’s a loan (and incurs a debt), and in a minor victory for plain English, the article goes on to use the word loan, and not ‘student contribution system’.

An earlier BBC article Rich students save by paying fees up front notes that under the current regime, 10% of students pay tuition fees upfront (or at least, their parents do). I agree with the criticism of the current regime, as quoted as in the article. When I first read that Augar proposes the fees to be reduced, but you’re on the hook for debt repayment for an additional 10 years (as noted in the moneysavingexpert article: “The loan will wipe after 40, not 30, years – substantially increasing the total repayment for many”) it looked to me like that added up to an even stronger incentive to pay upfront. But wait... there’s also a proposed cap of loan plus 20% (adjusted for inflation) that you have to repay, that makes the set-up more benign. It means that with a partial repayment, you’re chipping away at something that cannot grow without limit. That mitigates a deeply disagreeable feature of the present system, namely the uncertainty and lack of control on how much someone will repay.

My guess: affluent parents will continue to pay the fees upfront, even if the cost to the family for not doing so is at most an additional 20%. It’s basically an attractive mechanism for bequeathing money. There’s also the issue of how such a bequest changes the behaviour the student after they graduate (an aspect of up-front payment that has not received much attention) — arguably if a graduate doesn’t face a tax bill when his income exceeds some amount, he’s more likely to pursue a well-paid job.

Friday, April 12, 2019

New conference: ACM-SIAM Algorithmic Principles of Computer Systems (APoCS20)

ACM-SIAM Algorithmic Principles of Computer Systems (APoCS20)

January 8, 2020
Hilton Salt Lake City Center, Salt Lake City, Utah, USA
Colocated with SODA, SOSA, and Alenex

The First ACM-SIAM APoCS is sponsored by SIAM SIAG/ACDA and ACM SIGACT.

Important Dates:

August 9: Abstract Submission and Paper Registration Deadline
August 16: Full Paper Deadline
October 4: Decision Announcement

Program Chair:

Bruce Maggs, Duke University and Akamai Technologies


Contributed papers are sought in all areas of algorithms and architectures that offer insight into the performance and design of computer systems.  Topics of interest include, but are not limited to algorithms and data structures for:

Emerging Architectures
Energy Efficient Computing
High-performance Computing
Management of Massive Data
Networks, including Mobile, Ad-Hoc and Sensor Networks
Operating Systems
Parallel and Distributed Systems
Storage Systems

The piece is interrupted by records of molecules:
[1]
Computed, not measured: a molecular structure, C10H14CoIN2O7P2S, with wB97M-V/def2-TZVPD.

Each line ends with the Löwdin charge.
CARTESIAN COORDINATES (ANGSTROEM)
I -3.005 1.309 1.146  1.210
Co -0.632 0.863 -0.502  0.801
S 0.987 4.665 -2.181  1.159
P 1.479 -1.459 -1.072  0.522
P -1.389 -1.579 -0.974  0.376
O 1.926 -1.855 0.376  -0.057
O 0.182 -2.450 -3.040  -0.023
O -1.008 -1.164 0.426  -0.324
O -2.574 -2.592 -1.121  -0.044
O -1.610 -0.270 -1.751  -0.290
O 2.708 -1.844 -1.959  -0.037
O 1.139 0.004 -1.131  -0.296
N -0.204 2.757 -1.023  -0.129
N -0.146 1.153 1.529  -0.076
C 0.101 -3.916 -1.049  -0.039
C -0.354 5.034 -1.182  -0.323
C -1.227 0.839 3.635  -0.062
C -1.240 1.074 2.282  -0.683
C -0.867 3.905 -0.643  -0.217
C 1.170 0.745 3.457  0.001
C 0.802 3.026 -1.837  -0.423
C 0.020 0.660 4.228  0.007
C 0.074 -2.514 -1.639  -0.577
C 1.051 0.993 2.102  -0.076
H -3.482 -2.275 -0.991  0.129
H 2.643 -1.715 -2.920  0.129
H -2.146 0.797 4.202  0.122
H 1.450 2.261 -2.241  0.089
H -1.723 3.864 0.010  0.074
H -0.693 6.047 -1.039  0.095
H -0.734 -4.502 -1.432  0.101
H 0.018 -3.876 0.037  0.098
H -0.401 -3.085 -3.471  0.130
H 1.028 -4.424 -1.326  0.106
H 1.914 1.078 1.455  0.131
H 0.081 0.452 5.288  0.135
H 2.509 -2.627 0.458  0.131
H 2.149 0.621 3.895  0.130

Atoms 1-2, force components in eV/Å:
I 0.21 0.14 0.22
Co 0.29 -0.80 0.11

Calculated values
LUMO energy (spin up / spin down)	-0.216 / -0.344	hartree
charge	+2
⟨S²⟩	6.011
spin multiplicity	5
HOMO (spin up / spin down)	-15.87 / -15.84	eV
relative energy (zero: lowest compared OMol25 entry of this formula, charge and spin)	0.20	kcal/mol

[2]
Computed, not measured: 2 unconnected molecules or ions with the total composition BrH3P2, with wB97M-V/def2-TZVPD.

Each line ends with the Löwdin charge.
CARTESIAN COORDINATES (ANGSTROEM)
Br -2.713 -2.578 -2.384  0.320
P 0.319 0.880 1.614  0.306
P 1.757 2.012 0.752  0.310
H 1.098 0.223 2.470  -0.294
H 0.941 2.481 -0.146  -0.319
H -1.401 -3.018 -2.306  -0.324

Atoms 1-2, force components in eV/Å:
Br -0.87 0.29 -0.05
P -1.21 1.18 -1.82

Calculated values
LUMO energy	-0.034	hartree
HOMO	-9.45	eV
relative energy (zero: lowest compared OMol25 entry of this formula, charge and spin)	31.47	kcal/mol

[3]
Computed, not measured: 3 unconnected molecules or ions with the total composition C54H52F4N3O12P, with wB97M-V/def2-TZVPD.

Each line ends with the Löwdin charge.
CARTESIAN COORDINATES (ANGSTROEM)
P 0.248 -0.841 -2.123  1.088
F 2.243 -0.921 2.288  0.135
F 1.814 1.112 2.718  0.108
F 0.222 -0.179 2.187  0.126
F 3.722 -3.382 -0.685  -0.014
O -0.095 0.714 -2.762  -0.338
O -3.208 7.325 1.286  0.101
O -3.668 -10.253 5.744  0.106
O 2.578 0.332 -3.690  0.017
O 5.452 1.364 0.781  -0.163
O -2.519 9.641 -3.478  0.107
O -2.941 -7.893 1.008  0.101
O 2.116 2.224 -4.868  0.115
O 5.954 1.898 1.983  0.004
O -1.845 2.717 -0.694  -0.079
O 2.320 -2.647 -3.070  -0.039
O 4.359 -2.036 -2.995  -0.001
N 0.959 -1.904 0.111  -0.043
N 4.084 3.153 -0.963  0.132
N 3.390 0.380 -1.355  0.030
End of the records of molecules:

A submission must report original research that has not previously or is not concurrently being published. Manuscripts must not exceed twelve (12) single-spaced double-column pages, in addition the bibliography and any pages containing only figures.  Submission must be self-contained, and any extra details may be submitted in a clearly marked appendix. 

Steering Committee:

Michael Bender
Guy Blelloch
Jennifer Chayes
Martin Farach-Colton (Chair)
Charles Leiserson
Don Porter
Jennifer Rexford
Margo Seltzer

Wednesday, March 27, 2019

Meaningful votes

In the unlikely event that we get a second referendum on Brexit, here’s how it ought to be done: Arrange all the alternatives in a line in order of “hardness” of Brexit. In may be felt that Remain should not be an option, in which case we have Norway plus (a.k.a. Common Market 2.0) at one end, and no-deal at the other. Every voter chooses their favourite option from the list. The winning option is chosen to be the one for which at least half the voters prefer a harder Brexit, and at least half favour a softer Brexit. The claim that this system is truthful, is based on the presumed single-peaked-ness of preferences: every voter has a favourite option, and their support for the others goes down, the further away you get from the favoured option.

Of course, the only thing less likely than a second referendum is the adoption of an eminently sensible approach such as the one above, and the interesting question is, why it would not be used. One objection I can think of, goes as follows: suppose there are 3 alternatives offered, say Norway plus, Theresa May’s deal, and no-deal. Suppose that 20 million voters support Norway plus, another 20 million support no-deal, and one voter supports May’s deal. In that case, May’s deal wins, and someone would complain it’s (a lot) less popular than one of the others (probably the one the complainant supported). In reality, this result should have everyone — on both sides — celebrating the fact that whatever outcome they liked least has just been narrowly averted. A better objection is that some people would prefer a principled in-or-out result, and either extreme is preferable to some sort of fudge. (I admit, I recently heard that view sincerely expressed.) So, for them the vote is not truthful, but there are not many people like that, and they are free to vote (strategically) for whatever extreme they prefer. A third objection, implicit in most objections to electoral reform, states that voters are too stupid to understand anything other than plurality, or “first past the post”.

If the above system were used in Parliament, May’s deal would probably win, unless MPs were allowed to vote anonymously, in which case Norway Plus would probably win.

I checked the paper Thirteen Reasons Why the Vickrey-Clarke-Groves Process Is Not Practical since the point about voting is analogous to the observation that no-one uses VCG. The 13 reasons are mostly not applicable, or only weakly applicable, to the above election. It is true that there are other weak equilibria besides truth-telling, but it seems unlikely that someone would vote against his preference simply because he’s unlikely to swing the outcome.

The effort we put into studying voting systems is justified by the following Milton Friedman quote:
Only a crisis - actual or perceived - produces real change. When that crisis occurs, the actions that are taken depend on the ideas that are lying around. That, I believe, is our basic function: to develop alternatives to existing policies, to keep them alive and available until the politically impossible becomes the politically inevitable.

Monday, March 18, 2019

The will of the people

At one point in Iain Banks’ novel The Wasp Factory, the main character (a troubled teenager called Frank) makes the following observation:
Often I’ve thought of myself as a state; a country or, at the very least, a city.
He then compares his moods and thought processes to political moods that countries go through:
…For example, there has always been a part of me which has felt guilty about killing Blyth, Paul and Esmerelda. … But I liken it to an opposition party in a parliament, or a critical press; acting as a conscience and a brake, but not in power and unlikely to assume it.
Frank is modelling a single self-contained agent (himself) as the embodiment of many separate agents. It is common in literature for someone to have a struggle between, say, the admirable and the less admirable parts of his nature, but the above is the best example I can recall of this kind of modelling.

Usually we do the opposite, trying to represent many agents as a single one. In the context of Brexit, that approach has been stretched to breaking-point. The phrase “the will of the people” attempts to conflate the electorate (a multitude of agents) into a self-contained purposive entity. Is Brexit the will of the people? Yes, in the same sense that getting a hung parliament is the will of the people. The people seem to want to make life difficult for themselves. UK politicians and commentators have discussed negotiating Brexit with the European Union as if the EU is a self-contained purposive agent. This has led to the unfortunate idea that the EU may want to punish the UK for leaving, in order to discourage other states from leaving. It views the EU as a single entity motivated by the desire to survive and grow, and assumes that it will take actions that run counter to the goodwill of EU leaders. Likewise, we have recently heard a great deal about how Parliament has said what it doesn’t want, but not what it wants. If Parliament is modelled as a single agent, then it ought to want something, but as soon as we acknowledge that it’s not a single agent, there is no particular reason to suppose that there is something that it wants. Given, say, three alternatives, there could perfectly well be a Condorcet cycle.

Returning to Frank, it may be useful to model an individual as a multitude of internal agents. In economics, it could be a new an interesting way to model individual irrationality, which is a perennial challenge that has been taken up in a rather patchy way, and deserves more attention. Finally it may even constitute a way to model emotions: in Frank’s case it is guilt that is represented this way.